Physical preparation is essential as you may be walking up to seven hours a day. You are likely to cover between eight and fifteen kilometers each day with plenty of ascents and descents, at times on very narrow trails. Maximum altitude reached is 2,190 metres and altitude should not be a factor in your physical comfort.

These are the things you should know before booking a tour:
Trekking can be challenging with extensive ascents and descents so a high level of fitness is required, although Olympian level training is certainly not mandatory! Most people have walked The Track after committing to regular consistent training and the support of your porters and guides and your own robust determination will ensure a successful trek. We do suggest spending some months training beforehand: hiking on hilly terrain (in the hiking footwear you plan on bringing with you), taking the stairs as much as possible, some strength work and we also suggest carrying your daypack with you on your hikes, slowly increasing the weight up to the amount of weight that you plan to carry on the trek.
We considered providing a training schedule however we know everyone is busy and has a different schedule. With this in mind, upon booking we provide guidelines in our ‘Welcome Package’ for what we consider to be necessary for your training program to ensure your fitness level is ready for your trek. As with all physical activity, we strongly recommend trekkers see their physicians prior to beginning any new training.
Upon arrival in Port Moresby, we will meet you at the airport and bring you to the hotel where you will be staying pre and post trek. Our preferred hotel is The Sanctuary Resort and Spa in Port Moresby which we are sure you will find very comfortable however this may change depending on availability. Venturing away from the city and into remote areas will take you off the beaten track. With this in mind, you will find that although the accommodations while visiting our villages may be lacking in the usual comforts and facilities you are accustomed to at home, they are safe, clean and offer a close-up look into our culture. We do emphasize that with IKA tours, we do not ‘insulate’ you in large, international style hotels. What we do is provide safe, clean, local accommodation. Our goal is to offer you an opportunity to live the way the local people live. The way we live.
During the course of your adventure, you will be passing through different climate zones from hot and humid lowland areas to higher mountainous areas where conditions may be considerably cooler, especially at night. The air can be much cooler at higher altitudes and you will cool down very quickly as you stop to rest, so we do recommend layering. In addition, this adventure could be during the dry season or the wet season so be prepared for both wet and dry conditions.
You should try to travel as lightly as possible as someone will have to carry what you bring. In order to accomodate what you need, your backpack size should be 95 litres BUT your total belongings should weigh no more than 12 kilograms (backpack and daypack combined). We use charter flights back to Kokoda and weight is restricted due to the small aircraft that is used. (A forewarning – you and your packs will be weighed!) Furthermore, please note that there is a weight limit of 10 kilograms for personal belongings carried by the porters as they will also be carrying their own items required on the trek as well as food and equipment as necessary. Please note that the Kokoda Track Authority has set a maximum total weight of 15 kg that can be carried by the porters. Any additional items will be carried by the trekkers themselves in daypacks and each day you will be asked to carry your own water and your snacks for the day as well as personal items such as camera, notebook, guide book, maps, etc. We strongly suggest pack covers or waterproof liners to ensure your belongings stay dry in the event of rain. We also suggest a waterproof case for your camera/phone. Anything not required on the trek can be left at the hotel in Port Moresby until your return upon completion of the trek.
You are required to have comprehensive travel and travel medical insurance that covers you for any emergency costs associated with flight/trip cancellation, hospitalization, emergency travel, evacuation and repatriation back to your home country. When travelling, please bring your insurance policy with you. We suggest leaving a copy with someone you can contact at home as well. Our IKA team will record your policy details during the pre-tour briefing therefore it is necessary to bring along a copy of your insurance to this meeting. If you are covered by a policy arranged though your credit card company, you will be asked to provide evidence of this coverage as well as a 24–hour emergency contact number. There are some credit card companies that do not provide an insurance policy number. In such cases, the tour leader will ask for and record your credit card number as this is required to activate any request for emergency assistance. It is your responsibility to ensure that you meet the requirements set out by your credit card company to effectively cover you while you are away and that the coverage offered is of a suitable standard. Please bring the travel insurance information booklet provided by your credit card company.
All travellers must have a current passport that is valid for at least six months after your scheduled return home.
Also, please check your travel tickets/documents to ensure that they are accurate and in the same name as your passport prior to leaving. A PNG Visa is available once you arrive at the airport in Port Moresby – please look for signage indicating where to line up and obtain visas.
Please consult your doctor or nearest vaccination centre to ensure all of your vaccinations are up to date and that you are vaccinated for any diseases for this part of the world. We suggest scheduling your initial visit at least two months ahead as some rounds of vaccinations require a second dose prior to departure to ensure you are thoroughly protected.
Malaria is prevalent in many tropical areas of Asia and the South Pacific. Please advise your doctor which regions you will be visiting and discuss the necessary medications with them. All malaria tablets are begun before possible exposure and continued for a period after such exposure ceases and should be taken carefully and according to instructions. Please be aware that some malaria medication might increase skin sensitivity to the sun and we advise taking extra care to ensure you are protected from the sun with a good sunscreen. A good insect repellent is also advisable if visiting these regions, preferably one containing a high percentage of Deet. This can also be discussed with the travel medicine clinic doctor.
Frequently Asked Questions (FAQ)
- Are IKAs guides and porters fully trained?
- How do I get there?
- What are the benefits of booking with us?
- Is it safe on the Track?
- Is it safe in Papua New Guinea?
- What about the food?
- Where will we sleep?
- What about sanitation and hygiene?
- How much training (and what kind) do I need?
- What should I bring?
- Do I need any special insurance?
Yes, our guides and porters are fully trained in first aid, emergency protocol and evacuation as well as
being fully experienced in general trekking. We ensure that all training is refreshed at the start of each
Calculated crystals, kept here for reference =
Record 1
# Ba2SnN2

A relaxed structure of Ba2SnN2 (PBE, the Materials Project database).

Cell lengths 6.9338, 6.9338, 13.4504 Å; angles 90.00, 90.00, 129.95 degrees
Fractional coordinates of all 20 atoms:
Ba 0.0419 0.9581 0.8557
Ba 0.1461 0.8539 0.4514
Ba 0.3539 0.6461 0.9514
Ba 0.4581 0.5419 0.3557
Ba 0.5419 0.4581 0.6443
Ba 0.6461 0.3539 0.0486
Ba 0.8539 0.1461 0.5486
Ba 0.9581 0.0419 0.1443
Sn 0.2458 0.7542 0.6861
Sn 0.2542 0.7458 0.1861
Sn 0.7458 0.2542 0.8139
Sn 0.7542 0.2458 0.3139
N 0.0817 0.9183 0.6428
N 0.1595 0.8405 0.0572
N 0.3405 0.6595 0.5572
N 0.4183 0.5817 0.1428
N 0.5817 0.4183 0.8572
N 0.6595 0.3405 0.4428
N 0.8405 0.1595 0.9428
N 0.9183 0.0817 0.3572

Record 2
# Ag6Sn3S10N2

A relaxed structure of Ag6Sn3S10N2 (PBE, the Materials Project database).

Cell lengths 22.7306, 6.6158, 13.9122 Å; angles 90.00, 90.00, 90.00 degrees
Fractional coordinates of all 84 atoms:
Ag 0.0316 0.0858 0.0915
Ag 0.0316 0.9142 0.5915
Ag 0.0827 0.0207 0.7982
Ag 0.0827 0.9793 0.2982
Ag 0.1094 0.4552 0.5172
Ag 0.1094 0.5448 0.0172
Ag 0.3906 0.0448 0.0172
Ag 0.3906 0.9552 0.5172
Ag 0.4173 0.4793 0.2982
Ag 0.4173 0.5207 0.7982
Ag 0.4684 0.4142 0.5915
Ag 0.4684 0.5858 0.0915
Ag 0.5316 0.4142 0.9085
Ag 0.5316 0.5858 0.4085
Ag 0.5827 0.4793 0.2018
Ag 0.5827 0.5207 0.7018
Ag 0.6094 0.0448 0.4828
Ag 0.6094 0.9552 0.9828
Ag 0.8906 0.4552 0.9828
Ag 0.8906 0.5448 0.4828
Ag 0.9173 0.0207 0.7018
Ag 0.9173 0.9793 0.2018
Ag 0.9684 0.0858 0.4085
Ag 0.9684 0.9142 0.9085
Sn 0.0000 0.4730 0.7500
Sn 0.0000 0.5270 0.2500
Sn 0.1967 0.0583 0.0519
Sn 0.1967 0.9417 0.5519
Sn 0.3033 0.4417 0.5519
Sn 0.3033 0.5583 0.0519
Sn 0.5000 0.0270 0.2500
Sn 0.5000 0.9730 0.7500
Sn 0.6967 0.4417 0.9481
Sn 0.6967 0.5583 0.4481
Sn 0.8033 0.0583 0.4481
Sn 0.8033 0.9417 0.9481
S 0.0528 0.3110 0.3643
S 0.0528 0.6890 0.8643
S 0.0681 0.2533 0.6606
S 0.0681 0.7467 0.1606
S 0.1090 0.1794 0.9680
S 0.1090 0.8206 0.4680
S 0.2108 0.2858 0.4845
S 0.2108 0.7142 0.9845
S 0.2208 0.1230 0.2449
S 0.2208 0.8770 0.7449
S 0.2792 0.3770 0.7449
S 0.2792 0.6230 0.2449
S 0.2892 0.2142 0.9845
S 0.2892 0.7858 0.4845
S 0.3910 0.3206 0.4680
S 0.3910 0.6794 0.9680
S 0.4319 0.2467 0.1606
S 0.4319 0.7533 0.6606
S 0.4472 0.1890 0.8643
S 0.4472 0.8110 0.3643
S 0.5528 0.1890 0.6357
S 0.5528 0.8110 0.1357
S 0.5681 0.2467 0.3394
S 0.5681 0.7533 0.8394
S 0.6090 0.3206 0.0320
S 0.6090 0.6794 0.5320
S 0.7108 0.2142 0.5155
S 0.7108 0.7858 0.0155
S 0.7208 0.3770 0.7551
S 0.7208 0.6230 0.2551
S 0.7792 0.1230 0.2551
S 0.7792 0.8770 0.7551
S 0.7892 0.2858 0.0155
S 0.7892 0.7142 0.5155
S 0.8910 0.1794 0.5320
S 0.8910 0.8206 0.0320
S 0.9319 0.2533 0.8394
S 0.9319 0.7467 0.3394
S 0.9472 0.3110 0.1357
S 0.9472 0.6890 0.6357
N 0.2215 0.4796 0.7621
N 0.2215 0.5204 0.2621
N 0.2785 0.0204 0.2621
N 0.2785 0.9796 0.7621
N 0.7215 0.0204 0.2379
N 0.7215 0.9796 0.7379
N 0.7785 0.4796 0.7379
N 0.7785 0.5204 0.2379

| no. | calculated formation energy (eV per atom) |
| --- | --- |
| 1 | -0.569 |
| 2 | 0.033 |

=====

# 1
trekking season.
Most flights require a transfer in Australia where you will board another flight to Port Moresby, PNG. We arrange for transfers to and from the Port Moresby airport as well as transport from the end of the trek at Owers’ Corner back to the hotel in Port Moresby.
IKA was established to effect change along the Kokoda Track by providing a better employment experience for our guides and porters. We are the first and only wholly Indigenous, locally owned and led tour operator on the Kokoda Track. Our trekkers can be confident that tour dollars have a far greater impact on and benefit for the local villages and communities they visit while on their trek. We have eliminated the middleman, we bank locally and work with other local PNG businesses as much as we possibly can to minimize the leakage of tourism dollars.
We also provide our trekkers with the opportunity to learn about our culture and hear our stories as told by us, in our voice and know that what they are learning is being told by the person who has the lived experience.
Yes! Our guides and porters are fully trained in first aid and always travel with a 2-way radio and satellite phone. In the unforeseen event of a catastrophic emergency and necessary evacuations, our staff are all fully trained and experienced. Our number one commitment to our trekkers is ensuring safe arrival at the end of the trek in good shape and in one piece (as well as providing a challenging experience).
We recommend that people ensure they arrange for any taxi services through their hotel and avoid walking by themselves outside the hotel grounds. There have been instances of theft and while the portrayal of PNG by outside media as an unsafe country does it a great disservice, we advise that you practice prudence and care when you are out and about.
We serve food that is freshly made from mostly local ingredients where possible. We provide the opportunity to sample food that reflects local indigenous cuisine, and we also always ensure that tasty, nutritious food is available to keep our trekkers fueled for their trek. Our cooks are fully trained in food and food safety to ensure you are fed enjoyable nutritious meals that will fuel you for your trek and we also offer you with the opportunity to taste the local cuisine.
Coffee and tea are always available.
We do cater for most diets, please let us know in advance if you have food restrictions and we will do our best to accommodate.
While the accommodations along the Track might not be as comfortable or luxurious as most people are used to at home, the huts that trekkers sleep in are kept clean and dry and provide the experience to live as we live. There is one overnight stay that is in a tent. We provide all tents and the set up/take down.
As the Kokoda Track is in a remote part of PNG, facilities that trekkers might be used to at home are not readily available. While on the trail, there is the option to duck behind a ‘grassy knoll’ or tree. Once we have arrived at our stopping point, there are dedicated outhouses available. We recommend bringing toilet paper and a bar of soap. Hand sanitizer in a pocket of your day pack will likely come in handy as well.
We provide a training guide for our booked guests as part of their onboarding package once their deposit is received.
As with the training, we provide a suggested packing guide for our booked guests as part of their onboarding package once their deposit is received. Our #1 recommendation is to wear your hiking boots on the plane as they will be difficult to replace should your luggage be delayed (we do speak from personal experience). We also suggest packing your sense of humour, patience and flexibility.
Trekking along the Kokoda Track requires medical insurance as well as emergency evacuation insurance and we require proof of this prior to the start of the trek. We recommend Global Rescue as a reputable global insurance provider and a direct link is provided on our website. Full disclosure – any booking with Global Rescue through our site, results in 10% of the insurance cost being donated back to the IKA Foundation for scholarships for post Grade 8 education for the children along the Kokoda Track.